
Work with me


© 2019 | La Luz Portraits |

For a complimentary 30 minute Transformational Coaching Discovery Call on Zoom

Starting the journey of change

As your Transformational coach, I can…

guide you to become unstuck and become clear in what your heart desires are, to become empowered and confident to leap into something new with ease and grace and support you in defining an action plan to shift from where you are to where you want to be.

Coaching is solution-focused, providing you the opportunity to tap into your own wisdom to see things in a different light, to become aware of limiting perceptions and to shift your mindset to one of possibilities that allows you to choose your own happiness. 

I can partner with you to work to discover your purpose and next steps, to upscale your career or transition out of your current one, to gain confidence to achieve your personal and professional goals.

I will help support your journey of connecting to what makes you feel alive and stepping into who you really are. I will listen unconditionally and be a supportive, an empowering presence in your journey.

Receiving coaching gives you the opportunity to meet and work on life’s challenges, fulfill your potential, and live-in alignment with who you are.

I will help you change your inner story of “I can’t, it’s not possible, I have to sacrifice, I am not worthy” to “I can, it is possible, I am deserving, and I allow myself to live an authentic life, living my passion.”

“Your heart is the size of an ocean. Go find yourself in its hidden depths.”


I offer coaching packages of 1:1 sessions, group coaching, personal and professional development workshops in-person and virtually (Zoom)

Here are some common areas I help with.

Self discoverya


Exploring who you are, identifying your passions to help you find your path. Discover your hidden talents and abilities to envision and manifest the life you would like to lead.

Navigating decisions

Upgrading and transitioning into a career
Sometimes we have been in the same job or workplace for years and/or have outgrown where we are and needing support to move past doubts & fear about stepping into something new


Lifes transitions

Life Transitions

When you have a calling for a major change in your life and you feel torn or overwhelmed with fears/doubts. Discover the inner blocks and transform them to manifest your dreams and true desires.


For pricing, or to ask about my combination of Transformational and Fitness coaching


Fitness coaching

Do you struggle to fit fitness into your schedule? Whether it be a 30-minute workout or longer, whether you want to add regular exercise a couple times a week or more often, I can design a program for you that will be fun, effective, and safe. You can do workouts at home using minimum equipment like resistance bands, dumbbells, and body weight, or in the gym where there is a greater variety of equipment available. We can do online sessions with Zoom or train outdoors (when possible).

For a 30-minutes complimentary fitness consultation

Your fitness Trainer

My approach to fitness training

My philosophy to training is wholehearted: being mindful that exercise and mindset go hand in hand. I empower clients to live with more self-awareness and vitality. I believe that taking care of your health is a wonderful gift that you give to yourself, and the benefits and impacts are endless: more energy and joy, more confidence, more physical and mental strength, and healthy habits that could last a lifetime.


I design training programs

and I help you stay on track and stay motivated. Your personalized program can focus on:

(Misplaced data records)
********
Ac2La3Y4: simulated powder diffractogram (Cu Kα, 1.54184 Å), based on a cell relaxed with PBE.
No peak broadening, texture or thermal motion is included.

Cell and atoms:
Lattice parameters (Å, degrees): 3.735 3.735 27.573 90.00 90.00 120.00
Fractional coordinates of all 9 atoms:
Ac (0.000, 0.000, 0.000)
Ac (0.000, 0.000, 0.233)
La (0.000, 0.000, 0.783)
La (0.333, 0.667, 0.120)
La (0.333, 0.667, 0.466)
Y (0.000, 0.000, 0.361)
Y (0.000, 0.000, 0.575)
Y (0.333, 0.667, 0.675)
Y (0.333, 0.667, 0.890)

Main lines, by angle (5 to 70 degrees two-theta):
2θ = 27.58°, rel. 54; 2θ = 29.15°, rel. 42; 2θ = 30.53°, rel. 63; 2θ = 32.08°, rel. 100; 2θ = 48.76°, rel. 38; 2θ = 57.83°, rel. 40

=====

HfSc3Zn8: simulated powder diffractogram (Cu Kα, 1.54184 Å), based on a cell relaxed with PBE.
No peak broadening, texture or thermal motion is included.

Cell and atoms:
Lattice parameters (Å, degrees): 5.265 5.265 8.426 90.00 90.00 120.00
Fractional coordinates of all 12 atoms:
Hf (0.000, 0.000, 0.000)
Sc (0.000, 0.000, 0.373)
Sc (0.667, 0.333, 0.500)
Sc (0.667, 0.333, 0.877)
Zn (0.162, 0.324, 0.689)
Zn (0.162, 0.838, 0.689)
Zn (0.333, 0.667, 0.439)
Zn (0.333, 0.667, 0.938)
Zn (0.504, 0.008, 0.186)
Zn (0.504, 0.496, 0.186)
Zn (0.676, 0.838, 0.689)
Zn (0.992, 0.496, 0.186)

Main lines, by angle (5 to 70 degrees two-theta):
2θ = 22.17°, rel. 28; 2θ = 34.06°, rel. 30; 2θ = 37.61°, rel. 70; 2θ = 40.40°, rel. 100; 2θ = 41.01°, rel. 87; 2θ = 69.34°, rel. 28

=====

Ho7Ir4Pd: simulated powder diffractogram (Cu Kα, 1.54184 Å), based on a cell relaxed with PBE.
No peak broadening, texture or thermal motion is included.

Cell and atoms:
Lattice parameters (Å, degrees): 7.430 7.430 9.950 124.38 124.38 40.09
Fractional coordinates of all 12 atoms:
Ho (0.000, 0.000, 0.000)
Ho (0.163, 0.163, 0.608)
Ho (0.288, 0.288, 0.131)
Ho (0.422, 0.422, 0.665)
Ho (0.578, 0.578, 0.335)
Ho (0.712, 0.712, 0.869)
Ho (0.837, 0.837, 0.392)
Ir (0.070, 0.070, 0.783)
Ir (0.210, 0.210, 0.346)
Ir (0.790, 0.790, 0.654)
Ir (0.930, 0.930, 0.217)
Pd (0.500, 0.500, 0.000)

Main lines, by angle (5 to 70 degrees two-theta):
2θ = 35.24°, rel. 77; 2θ = 36.76°, rel. 100; 2θ = 37.82°, rel. 47; 2θ = 38.01°, rel. 90; 2θ = 52.65°, rel. 37; 2θ = 67.17°, rel. 33
********
(End of the data records)









but most of all


Author unknown
© 2019 | La Luz Portraits |

I would

As your fitness coach


guided instruction on proper technique and form

Help you

shape and reach your fitness goals and optimize performance

Help make

training challenging and enjoyable

Here are my


One-time session

  • Conduct a functional movement assessment and develop a customized program for you to meet your goals

Six sessions including fitness assessment

  • Mobility and functional movement assessments
  • Five one-on-one training sessions

Everything in Start-Up and more

  • 12 sessions total
  • Exploration session
  • We follow up with a second mobility and functional assessment in the sixth session

30 minute workout plans


  • Functional movement assessment and develop a 30-minute customized workout to meet your needs.

For pricing, or to ask about my combination
Transformational + Fitness coaching


I am a natural born leader. I led groups and committees from a young age. In my career, I often provide leadership and strategic guidance. Over the years I have learned the importance of leading from a heart-centered place with consciousness of my own actions and words, and of leading as I would like to be led. Wholehearted leadership means sometimes having those uncomfortable conversations, leaning into vulnerability, being conscious of our impact on others, seeking participation and expression, and being inclusive.
To book a thirty-minute complimentary leadership coaching consultation to exchange with you on your goals as a leader, what kind of leader you want to become, and what your needs are, click here

As your leadership coach, I can:

  • Help you uncover limiting perceptions that are keeping you from thriving as a leader
  • Support you in developing self-awareness and connection to your truest self and how you want to inspire and impact others
  • Provide guidance and strategies on how to confront uncomfortable situations and uncertainty.


Spark Session

A 60-minute session to work through a specific challenge that you are experiencing now.

Building your Inner Toolbox Sessions

3—5 sessions of practical tips in the below areas:

Transformational + Fitness coaching Combo

Exercise and mindset go hand in hand and are interdependent. Align taking care of our bodies and minds and see major benefits to your overall health and wellbeing. 

© 2019 | La Luz Portraits |